-- Job --
What is needed: type out the lines further below from the one with "183 Å³/cell" to the one with "Project: Gd2MnGa6" unchanged.

-- File --
Entry from the Materials Project: GdGaI after structural relaxation (GGA-PBE).

a b c (Å): 4.2451 4.2451 11.7044
angles (deg): 90.00 90.00 120.00
With the nearest neighbours (Å) after each atom.
Space group P-3m1 (No. 164)
Asymmetric unit:
Gd (0.0000, 0.0000, 0.1757)  3 Ga 2.99, 3 I 3.18
Ga (0.3333, 0.6667, 0.0296)  3 Ga 2.55
I (0.3333, 0.6667, 0.6514)  3 Gd 3.18

Summary:
* V: 183 Å³/cell
* E_form: -1.19 eV per atom
* density: 6.43 g/cm3
* energy with MP2020 corrections: -7.397 eV/atom


Entry from the Materials Project: Gd3Lu2Ga3O12 after structural relaxation (GGA-PBE).

a b c (Å): 12.8623 12.8623 12.8623
angles (deg): 90.00 90.00 90.00
With the nearest neighbours (Å) after each atom.
Space group Ia-3d (No. 230)
Asymmetric unit:
Gd (0.0000, 0.2500, 0.1250)  8 O 2.43-2.52
Lu (0.0000, 0.0000, 0.0000)  6 O 2.19
Ga (0.0000, 0.2500, 0.3750)  4 O 1.88
O (0.0284, 0.0587, 0.6574)  1 Ga 1.88

Summary:
* magnetic moment: 21.0 μB per formula unit
* V: 2128 Å³/cell
* E_form: -3.39 eV per atom
* density: 7.63 g/cm3
* energy with MP2020 corrections: -9.375 eV/atom


Entry from the Materials Project: GdMgGa after structural relaxation (GGA-PBE).

a b c (Å): 7.3634 7.3634 4.4887
angles (deg): 90.00 90.00 120.00
With the nearest neighbours (Å) after each atom.
Space group P-62m (No. 189)
Asymmetric unit:
Gd (0.0000, 0.5752, 0.0000)  5 Ga 3.13-3.14, 2 Mg 3.32
Mg (0.0000, 0.2437, 0.5000)  4 Ga 2.84-2.87, 2 Mg 3.11
Ga (0.0000, 0.0000, 0.0000)  6 Mg 2.87, 3 Gd 3.13
Ga (0.3333, 0.6667, 0.5000)  3 Mg 2.84, 6 Gd 3.14

Summary:
* V: 211 Å³/cell
* E_form: -0.49 eV per atom
* density: 5.94 g/cm3


Entry from the Materials Project: Gd2MnGa6 after structural relaxation (GGA-PBE).

a b c (Å): 8.7374 8.7374 8.7374
angles (deg): 90.00 90.00 90.00
With the nearest neighbours (Å) after each atom.
Space group Fm-3m (No. 225)
Asymmetric unit:
Gd (0.2500, 0.2500, 0.2500)  12 Ga 3.10
Mn (0.0000, 0.0000, 0.0000)  6 Ga 2.43
Ga (0.0000, 0.0000, 0.2783)  1 Mn 2.43

Summary:
* V: 667 Å³/cell
* E_form: -0.53 eV per atom
* density: 7.84 g/cm3


Entry from the Materials Project: Gd2NbGaO7 after structural relaxation (GGA-PBE).

a b c (Å): 7.2389 7.4400 10.4058
angles (deg): 90.00 90.00 90.00
With the nearest neighbours (Å) after each atom.
Space group Imma (No. 74)
Asymmetric unit:
Gd (0.0000, 0.0000, 0.0000)  6 O 2.27-2.53
Gd (0.2500, 0.2500, 0.2500)  2 O 2.23
Nb (0.0000, 0.0000, 0.5000)  6 O 2.00-2.04
Ga (0.2500, 0.2500, 0.7500)  6 O 2.00-2.04
O (0.0000, 0.2500, 0.1255)  4 Gd 2.23-2.27
O (0.0000, 0.2500, 0.4198)  2 Nb 2.04
O (0.0000, 0.2500, 0.8327)  2 Ga 2.00
O (0.2044, 0.0427, 0.6252)  1 Nb 2.00, 1 Ga 2.04

Summary:
* magnetic moment: 14.0 μB per formula unit
* V: 560 Å³/cell
* E_form: -3.28 eV per atom
* density: 6.98 g/cm3
* energy with MP2020 corrections: -10.178 eV/atom


Entry from the Materials Project: Gd3Ga2Ni6 after structural relaxation (GGA-PBE).

a b c (Å): 8.9338 8.9338 8.9338
angles (deg): 90.00 90.00 90.00
With the nearest neighbours (Å) after each atom.
Space group Im-3m (No. 229)
Asymmetric unit:
Gd (0.0000, 0.0000, 0.2896)  8 Ni 2.77-3.06
Ga (0.2500, 0.2500, 0.2500)  6 Ni 2.50
Ni (0.0000, 0.3386, 0.3386)  2 Ga 2.50, 4 Ni 2.58, 2 Gd 2.77

Summary:

-- Reply --
* V: 183 Å³/cell
* E_form: -1.19 eV per atom
* density: 6.43 g/cm3
* energy with MP2020 corrections: -7.397 eV/atom


Entry from the Materials Project: Gd3Lu2Ga3O12 after structural relaxation (GGA-PBE).

a b c (Å): 12.8623 12.8623 12.8623
angles (deg): 90.00 90.00 90.00
With the nearest neighbours (Å) after each atom.
Space group Ia-3d (No. 230)
Asymmetric unit:
Gd (0.0000, 0.2500, 0.1250)  8 O 2.43-2.52
Lu (0.0000, 0.0000, 0.0000)  6 O 2.19
Ga (0.0000, 0.2500, 0.3750)  4 O 1.88
O (0.0284, 0.0587, 0.6574)  1 Ga 1.88

Summary:
* magnetic moment: 21.0 μB per formula unit
* V: 2128 Å³/cell
* E_form: -3.39 eV per atom
* density: 7.63 g/cm3
* energy with MP2020 corrections: -9.375 eV/atom


Entry from the Materials Project: GdMgGa after structural relaxation (GGA-PBE).

a b c (Å): 7.3634 7.3634 4.4887
angles (deg): 90.00 90.00 120.00
With the nearest neighbours (Å) after each atom.
Space group P-62m (No. 189)
Asymmetric unit:
Gd (0.0000, 0.5752, 0.0000)  5 Ga 3.13-3.14, 2 Mg 3.32
Mg (0.0000, 0.2437, 0.5000)  4 Ga 2.84-2.87, 2 Mg 3.11
Ga (0.0000, 0.0000, 0.0000)  6 Mg 2.87, 3 Gd 3.13
Ga (0.3333, 0.6667, 0.5000)  3 Mg 2.84, 6 Gd 3.14

Summary:
* V: 211 Å³/cell
* E_form: -0.49 eV per atom
* density: 5.94 g/cm3


Entry from the Materials Project: Gd2MnGa6 after structural relaxation (GGA-PBE).